_Input_
~~~
C4H8N2O | the ωB97M-V functional and the def2-TZVPD basis

The geometry in XYZ format:
```
15
Properties=species:S:1:pos:R:3:forces:R:3
C -0.284416 -0.711247 -0.117131 -2.2 0.5 1.0
C -1.645847 -0.607351 0.046997 2.1 -1.1 -0.1
C 0.477570 -0.132142 -1.136862 1.6 1.2 -2.5
C -2.334292 -1.075020 1.302875 -0.1 0.8 -0.2
N 0.724983 -0.085754 -2.316238 -1.0 -0.3 0.8
N 2.359107 1.819803 -1.623552 0.2 1.8 -1.0
O 2.063660 1.298758 -0.417843 -0.9 -0.7 -0.6
H 0.338243 -1.130657 0.634644 0.2 -0.2 0.9
H -2.298556 -0.320030 -0.765164 0.2 0.5 -0.1
H -3.272944 -0.486303 1.327403 0.6 0.0 0.7
H -2.743193 -2.085516 1.153166 0.6 0.0 0.4
H -1.654137 -0.907151 2.199851 -1.3 -0.6 -1.0
H 1.347917 0.695485 -2.663385 0.5 0.4 0.6
H 3.340502 1.678196 -1.979592 -1.1 0.0 1.0
H 2.124239 2.875474 -1.681247 0.5 -2.2 0.2
```
Positions in Å, forces in eV/Å.

charge: 0
spin multiplicity: 1
maximum force: 3.2 eV Å⁻¹
ΔE to the lowest compared entry with this formula, charge and spin: 574.2 kJ/mol
HOMO energy (spin up / spin down): -7.59 / -7.59 eV
lowest unoccupied orbital energy (spin up / spin down): 0.0 / 0.0 eV
gap between HOMO and LUMO (spin up / spin down): 0.2777 / 0.2775 hartree

* * * * *

ORCA calculation (the ωB97M-V functional and the def2-TZVPD basis) on C19H16F10N6OSTa as an isolated structure.

Values from the calculation:
HOMO = -17.69 eV
DFT total energy = -70482.870 eV
Relative energy (zero: lowest compared OMol25 entry of this formula, charge and spin) = 95.74 kJ/mol

The geometry in ORCA input format:
```
! RIJCOSX wB97M-V def2-TZVPD def2/J DEFGRID3
* xyz 3 1
Ta -0.61388 0.00945 0.79646
C 1.38776 2.33451 -0.57328
N 0.52808 2.16011 0.61830
C -0.60448 3.11041 0.58633
C -1.64380 2.63865 -0.39038
N -1.96666 1.22630 -0.11742
C -3.23078 0.76918 -0.54380
C -3.44154 -0.61018 -0.57876
F -2.35527 -1.39473 -0.22562
C -4.60124 -1.25124 -0.93234
F -4.65487 -2.56544 -0.91490
C -5.69882 -0.47636 -1.30278
F -6.82074 -1.03690 -1.63907
C -5.55816 0.90681 -1.29850
F -6.56622 1.66762 -1.63719
C -4.35928 1.51646 -0.93608
F -4.36589 2.84091 -0.96602
C 1.33037 2.35000 1.84554
C 0.65553 1.70468 3.03397
N 0.20494 0.36786 2.60292
C 0.24168 -0.66178 3.56299
C 0.23764 -0.51723 4.95683
F 0.09364 0.68156 5.50550
C 0.33354 -1.61649 5.80412
F 0.33743 -1.42772 7.09690
C 0.39928 -2.91231 5.29300
F 0.48017 -3.93970 6.08953
C 0.33932 -3.09533 3.91440
F 0.35347 -4.29416 3.36861
C 0.25879 -1.97782 3.11531
F 0.13372 -2.13656 1.73450
H 1.83837 3.33019 -0.56009
H 0.81206 2.23420 -1.49004
H 2.18181 1.59502 -0.57394
H -0.26706 4.11389 0.31572
H -1.04832 3.15683 1.58241
H -1.29918 2.71130 -1.42540
H -2.49709 3.29706 -0.29905
H 1.49254 3.41423 2.03452
H 2.30325 1.88543 1.69264
H -0.18411 2.29198 3.40735
H 1.38365 1.64042 3.83898
N 2.66475 -0.92622 0.75426
N 2.57173 -2.02546 -0.09887
C 1.67059 -2.08602 -1.07160
N 1.69139 -3.07978 -1.92606
S 0.46412 -0.84661 -1.34870
H 3.45217 -0.35521 0.45438
H 2.89542 -1.26860 1.68217
H 3.28420 -2.74483 -0.04338
H 2.39882 -3.80474 -1.92762
H 1.00864 -3.12744 -2.66956
O -3.41066 -1.43079 3.03619
C -2.61192 -0.90328 2.46672
*
```

Charges per atom according to Löwdin partitioning, unit e: Ta 1.754; C -0.058; N -0.280; C -0.151; C -0.156; N -0.128; C -0.143; C -0.145; F -0.059; C -0.128; F 0.186; C -0.105; F 0.228; C -0.112; F 0.208; C -0.107; F 0.145; C -0.150; C -0.161; N -0.165; C -0.200; C -0.125; F 0.149; C -0.111; F 0.209; C -0.110; F 0.218; C -0.133; F 0.179; C -0.152; F -0.030; H 0.127; H 0.086; H 0.070; H 0.161; H 0.136; H 0.146; H 0.134; H 0.159; H 0.128; H 0.133; H 0.144; N 0.047; N -0.041; C -0.709; N 0.179; S 0.725; H 0.119; H 0.115; H 0.185; H 0.158; H 0.135; O 0.239; C 0.055



ORCA calculation (the ωB97M-V functional and the def2-TZVPD basis) on C19H16FN5O3S2 in the gas phase.

Values from the calculation:
SMILES string = [H]/N=C1\C(=C\c2cc(C)n(-c3ccccc3F)c2C)C(=O)N=C2SN=C(S(C)(=O)=O)N21
HOMO = -8.03 eV
DFT total energy = -57937.110 eV
Relative energy (zero: lowest compared OMol25 entry of this formula, charge and spin) = 106.77 kJ/mol
~~~
_To do_
Copy the whole of the material above unchanged.
_Completed_
C4H8N2O | the ωB97M-V functional and the def2-TZVPD basis

The geometry in XYZ format:
```
15
Properties=species:S:1:pos:R:3:forces:R:3
C -0.284416 -0.711247 -0.117131 -2.2 0.5 1.0
C -1.645847 -0.607351 0.046997 2.1 -1.1 -0.1
C 0.477570 -0.132142 -1.136862 1.6 1.2 -2.5
C -2.334292 -1.075020 1.302875 -0.1 0.8 -0.2
N 0.724983 -0.085754 -2.316238 -1.0 -0.3 0.8
N 2.359107 1.819803 -1.623552 0.2 1.8 -1.0
O 2.063660 1.298758 -0.417843 -0.9 -0.7 -0.6
H 0.338243 -1.130657 0.634644 0.2 -0.2 0.9
H -2.298556 -0.320030 -0.765164 0.2 0.5 -0.1
H -3.272944 -0.486303 1.327403 0.6 0.0 0.7
H -2.743193 -2.085516 1.153166 0.6 0.0 0.4
H -1.654137 -0.907151 2.199851 -1.3 -0.6 -1.0
H 1.347917 0.695485 -2.663385 0.5 0.4 0.6
H 3.340502 1.678196 -1.979592 -1.1 0.0 1.0
H 2.124239 2.875474 -1.681247 0.5 -2.2 0.2
```
Positions in Å, forces in eV/Å.

charge: 0
spin multiplicity: 1
maximum force: 3.2 eV Å⁻¹
ΔE to the lowest compared entry with this formula, charge and spin: 574.2 kJ/mol
HOMO energy (spin up / spin down): -7.59 / -7.59 eV
lowest unoccupied orbital energy (spin up / spin down): 0.0 / 0.0 eV
gap between HOMO and LUMO (spin up / spin down): 0.2777 / 0.2775 hartree

* * * * *

ORCA calculation (the ωB97M-V functional and the def2-TZVPD basis) on C19H16F10N6OSTa as an isolated structure.

Values from the calculation:
HOMO = -17.69 eV
DFT total energy = -70482.870 eV
Relative energy (zero: lowest compared OMol25 entry of this formula, charge and spin) = 95.74 kJ/mol

The geometry in ORCA input format:
```
! RIJCOSX wB97M-V def2-TZVPD def2/J DEFGRID3
* xyz 3 1
Ta -0.61388 0.00945 0.79646
C 1.38776 2.33451 -0.57328
N 0.52808 2.16011 0.61830
C -0.60448 3.11041 0.58633
C -1.64380 2.63865 -0.39038
N -1.96666 1.22630 -0.11742
C -3.23078 0.76918 -0.54380
C -3.44154 -0.61018 -0.57876
F -2.35527 -1.39473 -0.22562
C -4.60124 -1.25124 -0.93234
F -4.65487 -2.56544 -0.91490
C -5.69882 -0.47636 -1.30278
F -6.82074 -1.03690 -1.63907
C -5.55816 0.90681 -1.29850
F -6.56622 1.66762 -1.63719
C -4.35928 1.51646 -0.93608
F -4.36589 2.84091 -0.96602
C 1.33037 2.35000 1.84554
C 0.65553 1.70468 3.03397
N 0.20494 0.36786 2.60292
C 0.24168 -0.66178 3.56299
C 0.23764 -0.51723 4.95683
F 0.09364 0.68156 5.50550
C 0.33354 -1.61649 5.80412
F 0.33743 -1.42772 7.09690
C 0.39928 -2.91231 5.29300
F 0.48017 -3.93970 6.08953
C 0.33932 -3.09533 3.91440
F 0.35347 -4.29416 3.36861
C 0.25879 -1.97782 3.11531
F 0.13372 -2.13656 1.73450
H 1.83837 3.33019 -0.56009
H 0.81206 2.23420 -1.49004
H 2.18181 1.59502 -0.57394
H -0.26706 4.11389 0.31572
H -1.04832 3.15683 1.58241
H -1.29918 2.71130 -1.42540
H -2.49709 3.29706 -0.29905
H 1.49254 3.41423 2.03452
H 2.30325 1.88543 1.69264
H -0.18411 2.29198 3.40735
H 1.38365 1.64042 3.83898
N 2.66475 -0.92622 0.75426
N 2.57173 -2.02546 -0.09887
C 1.67059 -2.08602 -1.07160
N 1.69139 -3.07978 -1.92606
S 0.46412 -0.84661 -1.34870
H 3.45217 -0.35521 0.45438
H 2.89542 -1.26860 1.68217
H 3.28420 -2.74483 -0.04338
H 2.39882 -3.80474 -1.92762
H 1.00864 -3.12744 -2.66956
O -3.41066 -1.43079 3.03619
C -2.61192 -0.90328 2.46672
*
```

Charges per atom according to Löwdin partitioning, unit e: Ta 1.754; C -0.058; N -0.280; C -0.151; C -0.156; N -0.128; C -0.143; C -0.145; F -0.059; C -0.128; F 0.186; C -0.105; F 0.228; C -0.112; F 0.208; C -0.107; F 0.145; C -0.150; C -0.161; N -0.165; C -0.200; C -0.125; F 0.149; C -0.111; F 0.209; C -0.110; F 0.218; C -0.133; F 0.179; C -0.152; F -0.030; H 0.127; H 0.086; H 0.070; H 0.161; H 0.136; H 0.146; H 0.134; H 0.159; H 0.128; H 0.133; H 0.144; N 0.047; N -0.041; C -0.709; N 0.179; S 0.725; H 0.119; H 0.115; H 0.185; H 0.158; H 0.135; O 0.239; C 0.055



ORCA calculation (the ωB97M-V functional and the def2-TZVPD basis) on C19H16FN5O3S2 in the gas phase.

Values from the calculation:
SMILES string = [H]/N=C1\C(=C\c2cc(C)n(-c3ccccc3F)c2C)C(=O)N=C2SN=C(S(C)(=O)=O)N21
HOMO = -8.03 eV
DFT total energy = -57937.110 eV
Relative energy (zero: lowest compared OMol25 entry of this formula, charge and spin) = 106.77 kJ/mol